+++
Run a
Material: Co3WS
Method: DFT, PBEsol
State: relaxed

Cell lengths 4.387, 4.387, 4.387 Å; angles 90.00, 90.00, 90.00 degrees
Fractional positions:
Co (0.000, 0.000, 0.500)
Co (0.000, 0.500, 0.000)
Co (0.500, 0.000, 0.000)
W (0.000, 0.000, 0.000)
S (0.500, 0.500, 0.500)

Output
Its density of states at the Fermi level is 1.77 states/eV per atom. For the total moment, the calculation gives 1.087 Bohr magnetons per cell.

Run b
Material: Co3WS
Method: DFT, PBEsol
State: relaxed

Cell lengths 4.006, 4.006, 4.006 Å; angles 90.00, 90.00, 90.00 degrees
Fractional positions:
Co (0.000, 0.000, 0.500)
Co (0.000, 0.500, 0.000)
Co (0.500, 0.000, 0.000)
W (0.500, 0.500, 0.500)
S (0.000, 0.000, 0.000)

Output
Its density of states at the Fermi level is 1.50 states/eV per atom. For the total moment, the calculation gives 3.618 Bohr magnetons per cell.

Ranked by calculated energy, most stable first: run b, run a.

Run a
Material: Co2SbTe
Method: DFT, PBEsol
State: relaxed

Cell lengths 4.632, 4.632, 4.632 Å; angles 60.00, 60.00, 60.00 degrees
Fractional positions:
Co (0.000, 0.000, 0.000)
Co (0.250, 0.250, 0.250)
Sb (0.750, 0.750, 0.750)
Te (0.500, 0.500, 0.500)

Output
Its density of states at the Fermi level is 1.89 states/eV per atom. For the total moment, the calculation gives 2.100 Bohr magnetons per cell.

Run b
Material: Co2SbTe
Method: DFT, PBEsol
State: relaxed

Cell lengths 3.836, 3.836, 5.137 Å; angles 90.00, 90.00, 120.00 degrees
Fractional positions:
Co (0.000, 0.000, 0.249)
Co (0.000, 0.000, 0.751)
Sb (0.333, 0.667, 0.500)
Te (0.667, 0.333, 0.000)

Output
Its density of states at the Fermi level is 0.74 states/eV per atom. For the total moment, the calculation gives 0.001 Bohr magnetons per cell.

Run c
Material: Co2SbTe
Method: DFT, PBEsol
State: relaxed

Cell lengths 4.505, 4.505, 4.505 Å; angles 121.72, 119.99, 88.54 degrees
Fractional positions:
Co (0.225, 0.225, 0.000)
Co (0.775, 0.775, 0.000)
Sb (0.000, 0.500, 0.500)
Te (0.500, 0.000, 0.500)

Output
Its density of states at the Fermi level is 1.52 states/eV per atom. For the total moment, the calculation gives 0.283 Bohr magnetons per cell.

Ranked by calculated energy, most stable first: run b, run c, run a.

Run a
Material: Tl2CoSb
Method: DFT, PBEsol
State: relaxed

Cell lengths 3.181, 3.181, 8.662 Å; angles 90.00, 90.00, 90.00 degrees
Fractional positions:
Tl (0.000, 0.000, 0.000)
Tl (0.500, 0.500, 0.306)
Co (0.000, 0.000, 0.526)
Sb (0.500, 0.500, 0.677)

Output
Its density of states at the Fermi level is 0.74 states/eV per atom. For the total moment, the calculation gives 0.693 Bohr magnetons per cell.

Run b
Material: Tl2CoSb
Method: DFT, PBEsol
State: relaxed

Cell lengths 4.184, 4.184, 5.170 Å; angles 90.00, 90.00, 90.00 degrees
Fractional positions:
Tl (0.000, 0.500, 0.000)
Tl (0.500, 0.000, 0.000)
Co (0.000, 0.000, 0.500)
Sb (0.500, 0.500, 0.500)

Output
Its density of states at the Fermi level is 1.73 states/eV per atom. For the total moment, the calculation gives 1.702 Bohr magnetons per cell.

Run c
Material: Tl2CoSb
Method: DFT, PBEsol
State: relaxed

Cell lengths 6.183, 6.183, 3.562 Å; angles 105.91, 105.91, 124.73 degrees
Fractional positions:
Tl (0.000, 0.500, 0.000)
Tl (0.500, 0.000, 0.000)
Co (0.000, 0.000, 0.500)
Sb (0.500, 0.500, 0.500)

Output
Its density of states at the Fermi level is 1.30 states/eV per atom. For the total moment, the calculation gives 1.542 Bohr magnetons per cell.

Ranked by calculated energy, most stable first: run a, run c, run b.

Run a
Material: CoSbW
Method: DFT, PBEsol
State: relaxed

Cell lengths 4.135, 4.135, 4.135 Å; angles 60.00, 60.00, 60.00 degrees
Fractional positions:
Co (0.000, 0.000, 0.000)
Sb (0.750, 0.750, 0.750)
W (0.250, 0.250, 0.250)

Output
Its density of states at the Fermi level is 1.01 states/eV per atom. For the total moment, the calculation gives 1.810 Bohr magnetons per cell.

Run b
Material: CoSbW
Method: DFT, PBEsol
State: relaxed
+++

Your job: reproduce the whole of the contents above exactly.

Run a
Material: Co3WS
Method: DFT, PBEsol
State: relaxed

Cell lengths 4.387, 4.387, 4.387 Å; angles 90.00, 90.00, 90.00 degrees
Fractional positions:
Co (0.000, 0.000, 0.500)
Co (0.000, 0.500, 0.000)
Co (0.500, 0.000, 0.000)
W (0.000, 0.000, 0.000)
S (0.500, 0.500, 0.500)

Output
Its density of states at the Fermi level is 1.77 states/eV per atom. For the total moment, the calculation gives 1.087 Bohr magnetons per cell.

Run b
Material: Co3WS
Method: DFT, PBEsol
State: relaxed

Cell lengths 4.006, 4.006, 4.006 Å; angles 90.00, 90.00, 90.00 degrees
Fractional positions:
Co (0.000, 0.000, 0.500)
Co (0.000, 0.500, 0.000)
Co (0.500, 0.000, 0.000)
W (0.500, 0.500, 0.500)
S (0.000, 0.000, 0.000)

Output
Its density of states at the Fermi level is 1.50 states/eV per atom. For the total moment, the calculation gives 3.618 Bohr magnetons per cell.

Ranked by calculated energy, most stable first: run b, run a.

Run a
Material: Co2SbTe
Method: DFT, PBEsol
State: relaxed

Cell lengths 4.632, 4.632, 4.632 Å; angles 60.00, 60.00, 60.00 degrees
Fractional positions:
Co (0.000, 0.000, 0.000)
Co (0.250, 0.250, 0.250)
Sb (0.750, 0.750, 0.750)
Te (0.500, 0.500, 0.500)

Output
Its density of states at the Fermi level is 1.89 states/eV per atom. For the total moment, the calculation gives 2.100 Bohr magnetons per cell.

Run b
Material: Co2SbTe
Method: DFT, PBEsol
State: relaxed

Cell lengths 3.836, 3.836, 5.137 Å; angles 90.00, 90.00, 120.00 degrees
Fractional positions:
Co (0.000, 0.000, 0.249)
Co (0.000, 0.000, 0.751)
Sb (0.333, 0.667, 0.500)
Te (0.667, 0.333, 0.000)

Output
Its density of states at the Fermi level is 0.74 states/eV per atom. For the total moment, the calculation gives 0.001 Bohr magnetons per cell.

Run c
Material: Co2SbTe
Method: DFT, PBEsol
State: relaxed

Cell lengths 4.505, 4.505, 4.505 Å; angles 121.72, 119.99, 88.54 degrees
Fractional positions:
Co (0.225, 0.225, 0.000)
Co (0.775, 0.775, 0.000)
Sb (0.000, 0.500, 0.500)
Te (0.500, 0.000, 0.500)

Output
Its density of states at the Fermi level is 1.52 states/eV per atom. For the total moment, the calculation gives 0.283 Bohr magnetons per cell.

Ranked by calculated energy, most stable first: run b, run c, run a.

Run a
Material: Tl2CoSb
Method: DFT, PBEsol
State: relaxed

Cell lengths 3.181, 3.181, 8.662 Å; angles 90.00, 90.00, 90.00 degrees
Fractional positions:
Tl (0.000, 0.000, 0.000)
Tl (0.500, 0.500, 0.306)
Co (0.000, 0.000, 0.526)
Sb (0.500, 0.500, 0.677)

Output
Its density of states at the Fermi level is 0.74 states/eV per atom. For the total moment, the calculation gives 0.693 Bohr magnetons per cell.

Run b
Material: Tl2CoSb
Method: DFT, PBEsol
State: relaxed

Cell lengths 4.184, 4.184, 5.170 Å; angles 90.00, 90.00, 90.00 degrees
Fractional positions:
Tl (0.000, 0.500, 0.000)
Tl (0.500, 0.000, 0.000)
Co (0.000, 0.000, 0.500)
Sb (0.500, 0.500, 0.500)

Output
Its density of states at the Fermi level is 1.73 states/eV per atom. For the total moment, the calculation gives 1.702 Bohr magnetons per cell.

Run c
Material: Tl2CoSb
Method: DFT, PBEsol
State: relaxed

Cell lengths 6.183, 6.183, 3.562 Å; angles 105.91, 105.91, 124.73 degrees
Fractional positions:
Tl (0.000, 0.500, 0.000)
Tl (0.500, 0.000, 0.000)
Co (0.000, 0.000, 0.500)
Sb (0.500, 0.500, 0.500)

Output
Its density of states at the Fermi level is 1.30 states/eV per atom. For the total moment, the calculation gives 1.542 Bohr magnetons per cell.

Ranked by calculated energy, most stable first: run a, run c, run b.

Run a
Material: CoSbW
Method: DFT, PBEsol
State: relaxed

Cell lengths 4.135, 4.135, 4.135 Å; angles 60.00, 60.00, 60.00 degrees
Fractional positions:
Co (0.000, 0.000, 0.000)
Sb (0.750, 0.750, 0.750)
W (0.250, 0.250, 0.250)

Output
Its density of states at the Fermi level is 1.01 states/eV per atom. For the total moment, the calculation gives 1.810 Bohr magnetons per cell.

Run b
Material: CoSbW
Method: DFT, PBEsol
State: relaxed